F7 Solutions
F7 Solutions
F7 Solutions
Time allowed
3 hours and 15 minutes
This paper is divided into three sections:
Section A ‐ All 15 questions are compulsory and MUST be
Section B ‐ All 15 questions are compulsory and MUST be
Section C ‐ BOTH questions are compulsory and MUST be
Formulae sheet, present value and annuity tables are on pages
3, 4
and 5
Q1 C
Bearer plants and land related to agricultural activity are both excluded from the
scope of IAS 41. Unlike biological assets, agricultural produce must always be
measured at fair value.
Q2 D
The initial carrying value of the asset is recorded net of the grant income, giving
$90,000 – $15,000 = $75,000. This cost is then depreciated over nine years, giving
an annual depreciation charge of $8,333. Therefore, the carrying value of the asset
at 31 December 20X7 is $75,000 – $8,333 = $66,667.
Q3 B
Deferred tax provision required $18,000 (60,000 × 30%)
Current liability Taxation – current year estimate $30,000
Q4 C
Q5 C
Year Bal b/d Interest 10% Dividend Bal c/d
2014 98,000 9,800 (8,000) 99,800
2015 99,800 9,980 (8,000) 101,780
Q6 A
NCI at acquisition = 30% × ($150,000 SC + $125,000 RE) = $82,500
NCI % x post acquisition = 30% × ($200,000 – $125,000) = $22,500
NCI at 31 December 20X5 = $82,500 + $22,500 = $105,000
Alternative calculation: NCI % × net assets at acquisition = 30% × ($150,000 +
$200,000) = $105,000
Q7 A
Cost (500,000 x 20% x $4) $400,000
Share of profit for 20X7 ($100,000 x 6 /12 x 20%) $10,000
Share of profit for 20X8 ($250,000 x 20%) $50,000
Less: Dividend received ($20,000 x 20%) ($4,000)
Carrying value $456,000
Dividends are considered to be received when they are declared. The actual
receipt of the cheque is irrelevant.
Q8 D
The Fariox Co has suffered a total loss of $750,000 - $500,000 = $250,000
The goodwill of $100,000 should be written off in full. The remaining loss, after the
allocation to goodwill, will be $150,000.
Inventory cannot be written off further as it is already valued at net realisable
value. Therefore, the combined value of equipment and furniture after the
impairment will be: $400,000 + $200,000 - $150,000 = $450,000
Q9 B
Property, plant and equipment
$000 $000
b/f 350
Additions ß 172 Disposal 45
Depreciation 52
c/f 425
––––– –––––
522 522
––––– –––––
Cash additions = $172,000 less $20,000 payable = $152,000
Q 10 A
Q 11 A
Inventories, deferred tax assets, non-current assets held for sale and financial
assets are all excluded from the scope of IAS 36. Their valuation is dealt with by
the respective accounting standard.
Q 12 C
Cost of sales – P Co $90,000
Cost of sales – S Co ($60,000 / 12 x 9) $45,000
Intra-group sales ($10,000)
Unrealised profit ($10,000 / 100 x 20) / 2 $ 1,000
Q 13 D
The profit on the sale of a non‐current asset is deducted from profit as the cash
received on the sale is dealt with separately.
The large payable paid off is likely to result in a decrease in payables which is 'bad'
for cash.
The reduction in inventories will be 'good' for cash as less cash tied up in inventories.
Depreciation is added back to profit so an increased charge is more likely to increase
cash generated when compared to profit.
Q 14 D
Capitalising the repair expense will result in overstated profits. Overstated profits
will overstate EPS and ROCE.
Q 15 .C
Q 16 C
Depreciation for first six months ($200,000 / 10 x 6 / 12) = $10,000
Depreciation for last six months ($195,000 / 7.5 x 6 / 12) = $13,000
Total charge for the year = $23,000
Note: Remaining useful life of 7.5 years can be calculated by utilising the
information for accumulated depreciation.
Q 17 B
Grant 1 - Grants related to taxable income are excluded from the scope of IAS 20.
Grant 2 - $200,000 can be recognised.
Grant 3 - Reduced rate loans can be recognised under IAS 20.
Total Grant Income: $200,000 + $100,000 (7% - 3%) = $204,000
Q 18 A
The evidence of the claim existed before the reporting date. It was simply not
received by white Co. Therefore, Issue 1 needs to be adjusted. No evidence of
Issue 2 existed at the reporting date. It needs not to be adjusted.
Q 19 A
The assets are impaired only when their carrying amount exceeds the recoverable
amount. Recoverable amount is higher of value in use and fair value less costs to sell.
Crane 1
Carrying amount = $600,000 - $120,000 = $480,000
Recoverable amount = $500,000
Impairment = Nil
Crane 2
Carrying amount = $750,000 - $250,000 = $500,000
Recoverable amount = $490,000
Impairment = $10,000
Crane 3
Carrying amount = $800,000 - $160,000 = $640,000
Recoverable amount = $300,000
Impairment = $340,000
Total impairment
$10,000 + $340,000 = $350,000
Q 20 D
Initial recording ($10,000 x 90%) - 500 = $8,500
Interest charged ($8,500 x 12%) = $1,020
Cash paid ($10,000 x 8%) = ($800)
Q 21 C
The increase in payables should be added, as it is good for cash. The increases in
inventories and receivables will have a negative impact on cash.
Q 22 D
Both items are non‐cash expenses so must be added to profit from operations in
order to calculate cash generated from operations.
Q 23 A
Tax liabilities
$Dr Cr
000 $000
b/f (108 + 250) 358
SPL charge 672
Cash paid (bal fig) 496
c/f (234 + 300) 534
––––– –––––
1,030 1,030
––––– –––––
Q 24 C
The opening cash balance of $7,518,000 has decreased to an overdrawn position of
$465,000. This has resulted in a decrease of $7,983,000.
Q 25 C
Sales and purchases of non‐current assets should be recorded within investing
Q 26 26. D
Only public limited companies, or those in the process of issuing securities to public,
are required to present EPS. There is no need to calculate EPS separately for each
company in the consolidated accounts.
Q 27 27. B
Redeemable preference shares are treated as debt. Therefore, the dividend paid on
such shares Is already deducted when arriving at net profit.
EPS = ($200,000 – 10,000) / 5,000
EPS = $38.00
Q 28 28. A
Gross profit $1,000,000
Operating expenses ($200,000)
Preference dividends ($20,000)
Profit before tax $780,000
Tax at 30% (234,000)
Net profit $546,000
EPS = $546,000 / 200,000
EPS = $2.73
Q 29 29. A
The first step is to calculate theoretical ex-rights price:
Value of 5 shares before issue @ $3.20 $16.00
Value of rights issue @2.00 $2.00
Total value of 6 shares $18.00
Theoretical ex-rights price ($18/6) $3.00
EPS for 2016
Before rights issue = $500,000 / 100,000 = $5.00
Corresponding EPS with rights issue = $5.00 x $3.00 / $3.20 = $4.69
EPS for 2017
Before rights issue (100,000 / 12 x 3) x $3.20 / $3.00 = 26,667
After rights issue (120,000 / 12 x 9) = 90,000
Total weighted average shares = 116,667
EPS = $400,000 / 116,667 = $3.43
Q 30 30. C
Theoretical ex-rights price is simply a fraction used in the calculation of EPS. No
separate disclosure is required for it.
Q 31 (a) Appvar
Consolidated income statement for the year ended 30 September 2008
Revenue (85,000 + (42,000 x 6/12) – 8,000 intra-group sales) 98,000
Cost of sales (w (i)) (72,000)
Gross profit 26,000
Distribution costs (2,000 + (2,000 x 6/12)) (3,000)
Administrative expenses (6,000 + (3,200 x 6/12)) (7,600)
Finance costs (300 + (400 x 6/12)) (500)
Profit before tax 14,900
Income tax expense (4,700 + (1,400 x 6/12)) (5,400)
Profit for the year 9,500
Attributable to:
Equity holders of the parent 9,300
Non-controlling interest (((3,000 x 6/12)
– (800 URP + 200 depreciation)) x 40%) 200
(b) Consolidated statement of financial position as at 30 September 2008
Non-current assets
Property, plant and equipment (40,600 + 12,600 + 2,000 – 200
depreciation adjustment (w (i))) 55,000
Goodwill (w (ii)) 4,500
Current assets (w (iii)) 21,400
Total assets 80,900
Equity and liabilities
Equity attributable to owners of the parent
Equity shares of $1 each ((10, 000 + 1,600) w (ii)) 11,600
Share premium (w (ii)) 8,000
Retained earnings (w (iv)) 35,700
Non-controlling interest (w (v)) 6,100
Total equity 61,400
Non-current liabilities
10% loan notes (4,000 + 3,000) 7,000
Current liabilities (8,200 + 4,700 – 400 intra-group balance) 12,500
Total equity and liabilities 80,900
What comes next are records of crystals, not part of the text.
/*
# K2ReAu | Alexandria | PBE-GGA | optimized geometry
# spin magnetization	4.7	μB/cell
# formation energy	1.181	eV per atom
# excess energy over the best structure of this formula in the dataset	1.68	eV/f.u.
data_K2ReAu
_chemical_formula_sum 'K4 Re2 Au2'
_symmetry_space_group_name_H-M 'P 1'
_symmetry_Int_Tables_number 1
_cell_length_a 4.149
_cell_length_b 4.149
_cell_length_c 11.062
_cell_angle_alpha 90.00
_cell_angle_beta 90.00
_cell_angle_gamma 90.00
loop_
_symmetry_equiv_pos_as_xyz
'x,y,z'
loop_
_atom_site_label
_atom_site_fract_x
_atom_site_fract_y
_atom_site_fract_z
_atom_site_occupancy
K1 0.000 0.500 0.250 1
K2 0.000 0.500 0.750 1
K3 0.500 0.000 0.250 1
K4 0.500 0.000 0.750 1
Re1 0.000 0.000 0.000 1
Re2 0.500 0.500 0.500 1
Au1 0.000 0.000 0.500 1
Au2 0.500 0.500 0.000 1

***

# KRe2Au | Alexandria | PBE-GGA | optimized geometry
# spin magnetization	0.0	μB/cell
# formation energy	1.399	eV per atom
# excess energy over the best structure of this formula in the dataset	4.22	eV/f.u.
data_KRe2Au
_chemical_formula_sum 'K4 Re8 Au4'
_symmetry_space_group_name_H-M 'P 1'
_symmetry_Int_Tables_number 1
_cell_length_a 6.590
_cell_length_b 6.590
_cell_length_c 6.590
_cell_angle_alpha 90.00
_cell_angle_beta 90.00
_cell_angle_gamma 90.00
loop_
_symmetry_equiv_pos_as_xyz
'x,y,z'
loop_
_atom_site_label
_atom_site_fract_x
_atom_site_fract_y
_atom_site_fract_z
_atom_site_occupancy
K1 0.000 0.000 0.000 1
K2 0.000 0.500 0.500 1
K3 0.500 0.000 0.500 1
K4 0.500 0.500 0.000 1
Re1 0.000 0.000 0.500 1
Re2 0.000 0.500 0.000 1
Re3 0.250 0.250 0.250 1
Re4 0.250 0.750 0.750 1
Re5 0.500 0.000 0.000 1
Re6 0.500 0.500 0.500 1
Re7 0.750 0.250 0.750 1
Re8 0.750 0.750 0.250 1
Au1 0.250 0.250 0.750 1
Au2 0.250 0.750 0.250 1
Au3 0.750 0.250 0.250 1
Au4 0.750 0.750 0.750 1

***

# KRe2Au | Alexandria | PBE-GGA | optimized geometry
# spin magnetization	0.0	μB/cell
# formation energy	1.135	eV per atom
# excess energy over the best structure of this formula in the dataset	3.16	eV/f.u.
data_KRe2Au
_chemical_formula_sum 'K1 Re2 Au1'
_symmetry_space_group_name_H-M 'P 1'
_symmetry_Int_Tables_number 1
_cell_length_a 2.680
_cell_length_b 5.482
_cell_length_c 5.113
_cell_angle_alpha 90.00
_cell_angle_beta 93.42
_cell_angle_gamma 90.00
loop_
_symmetry_equiv_pos_as_xyz
'x,y,z'
loop_
_atom_site_label
_atom_site_fract_x
_atom_site_fract_y
_atom_site_fract_z
_atom_site_occupancy
K1 0.000 0.000 0.000 1
Re1 0.332 0.500 0.760 1
Re2 0.668 0.500 0.240 1
Au1 0.500 0.000 0.500 1

***

# KRe2Au | Alexandria | PBE-GGA | optimized geometry
# spin magnetization	0.0	μB/cell
# formation energy	1.101	eV per atom
# excess energy over the best structure of this formula in the dataset	3.03	eV/f.u.
data_KRe2Au
_chemical_formula_sum 'K1 Re2 Au1'
_symmetry_space_group_name_H-M 'P 1'
_symmetry_Int_Tables_number 1
_cell_length_a 2.675
_cell_length_b 2.675
_cell_length_c 10.453
_cell_angle_alpha 90.00
_cell_angle_beta 90.00
_cell_angle_gamma 90.00
loop_
_symmetry_equiv_pos_as_xyz
'x,y,z'
loop_
_atom_site_label
*/
The unrealised profit (URP) in inventory is calculated as ($8 million – $5·2 million) x
40/140 = $800,000.
(ii) Goodwill in Sophistic
Investment at cost $’000 $’000
Shares (4,000 x 60% x 2/3 x $6) 9,600
Less – Equity shares of Sophistic (4,000 x 60%) (2,400)
– pre-acquisition reserves (5,000 x 60% see below) (3,000)
– fair value adjustment (2,000 x 60%) (1,200) (6,600)
–––––– ––––––
Parent’s goodwill 3,000
Non-controlling interest’s goodwill (per question) 1,500
Total goodwill 4,500
The pre-acquisition reserves are:
At 30 September 2008 6,500
Earned in the post acquisition period (3,000 x 6/12) (1,500)
Alternative calculation for goodwill in Sophistic
Investment at cost (as above) 9,600
Fair value of non-controlling interest (see below) 5,900
Cost of the controlling interest 15,500
Less fair value of net assets at acquisition (4,000 + 5,000 + 2,000) (11,000)
Total goodwill 4,500
Fair value of non-controlling interest (at acquisition)
Share of fair value of net assets (11,000 x 40%) 4,400
Attributable goodwill per question 1,500
The 1·6 million shares (4,000 x 60% x 2/3) issued by Pedantic would be recorded as
share capital of $1·6 million and share premium of $8 million (1,600 x $5).
(iii) Current assets $’000 $’000
Pedantic 16,000
Sophistic 6,600
URP in inventory (800)
Cash in transit 200
Intra-group balance (600)
(iv) Retained earnings
Pedantic per statement of financial position 35,400
Sophistic’s post acquisition profit
(((3,000 x 6/12) – (800 URP + 200 depreciation)) x 60%) 300